The most common site of shoulder fracture is the proximal humerus, accounting for around 5% of all fractures.
The majority of proximal humeral fractures are low energy injuries occurring in elderly patients falling onto an outstretched hand from standing. These injuries occur primarily in the context of an osteoporosis.
They also less commonly occur in younger patients usually the result of a high energy traumatic injury, therefore there are often associated soft tissue or neurovascular injuries.
Risk Factors
The risk factors for low energy proximal humerus fractures are comparable to other osteoporotic fractures, including female gender, early menopause, prolonged steroid use, recurrent falls, and frailty.
Clinical Features
The principal features of this injury will be pain around the upper arm and shoulder, with restriction of arm movement and an inability to abduct their arm.
On examination, there is likely to be significant swelling and bruising of the shoulder, which can spread to the chest and down the arm.
Due to the close anatomical relationship with the axillary nerve and the circumflex vessels, is important to check the neurovascular status of the arm; damage to the axillary nerve can result in loss of sensation in the lateral shoulder (“Regimental Badge Area”) and loss of power of the deltoid muscle.
As for any trauma case, urgent bloods, including a coagulation and Group and Save, should be sent. Where a pathological cause is suspected, further work-up bloods, such as a serum calcium and a myeloma screen, may be warranted.
Plain film radiographs are the required initial imaging modality for suspected shoulder fracture. To appropriately to visualise and classify a proximal humeral fracture, anteroposterior (AP), lateral scapular, and axillary views are all required.
Further imaging with a CT scan can be used for preoperative planning, or if the position of any of the humeral segments is unclear.
Figure 2 – A comminuted proximal humeral fracture
The Neer classification system* is used to characterise proximal humeral fractures based on the relationship between 4 main segments of the proximal humerus:
- Greater tuberosity
- Lesser tuberosity
- Articular segment (anatomical neck)
- Humeral shaft (surgical neck)
*These segments are considered separate if there is displacement >1cm between segments, or if there is at least 45 degrees of angulation; it categorises injuries into either minimal displacement or two to four part injuries, dependent on the number of separate segments present.
The majority of proximal humeral fractures can be managed conservatively, especially those minimally displaced without neurovascular compromise.
The patient requires immobilisation initially with early mobilisation including pendular exercises at 2-4 weeks post injury dependent on fracture pattern. The patient must have a correctly applied polysling that allows their arm to hang; the effect of gravity on the arm will aid the reduction of the fragments of most humeral fractures.
Figure 3 – A proximal humeral fracture across the surgical neck
Surgical Management
Surgical fixation is indicated in patients with displaced, open, or neurovascularly compromised fractures, however the type of surgery is dependent on the classification and complexity of the fracture, and patient factors.
Patients with multiple segment injuries may be managed with open reduction internal fixation (ORIF) or intermedullary nailing. ORIF is often preferred in a head splitting fracture, and intramedullary nailing is preferred if the fracture involves the surgical neck, or if the fracture is combined with a humeral shaft fracture.
Hemiarthroplasty can be performed in a small number patients who experience complex injuries, or injuries that include splitting of the humeral head and are likely to have significant complications if the fracture is treated using ORIF.
Reverse shoulder arthroplasty (RSA) is an option for low demand patients, or patients who require revision after a failed previous procedure. RSA involves a total shoulder arthroplasty in which the ball and socket portions of the shoulder joint are reversed. Usually conservative management will be attempted before arthroplasty.
The most common complication of a proximal humeral fracture is a reduced range of motion, and extensive physiotherapy will be required to regain full function and reduce pain. Rehabilitation time for a proximal humeral fracture is around 1 year and is very dependent on how soon the patient was allowed to mobilise their shoulder.
There is a risk of avascular necrosis of the humeral head following an injury disrupting the blood supply (from the anterior and posterior humeral circumflex arteries). In such cases, a hemiarthroplasty or reverse shoulder arthroplasty may be required.
Damage to the neurovascular supply is thankfully rare, however it remains essential to check the axillary nerve in these injuries.
Key Points
- The most common site of shoulder fracture is the proximal humerus
- Patients present with shoulder pain and a reduced range of movement, typically following a fall onto an outstretched hand
- The Neer classification system is used to characterise proximal humeral fractures
- Most cases require plain film radiographs only and can be managed conservatively
Scapular Fractures
These calculated molecules were left in the piece by mistake.
/*
# C5H11PS

The molecule C5H11PS in a non-equilibrium geometry (ωB97M-V/def2-TZVPD, OMol25).

charge	0
frontier orbital gap (spin up / spin down)	5.89 / 5.89	eV
energy	-936.50688	hartree
HOMO level (spin up / spin down)	-8.022 / -8.024	eV

Each atom is followed by the atoms it is bonded to, with distances in Å.
Element x y z (Å)
1 C -1.864 1.351 0.055  C2 1.548, S7 1.829, H8 1.151, H9 1.147
2 C -0.719 0.316 -0.057  C1 1.548, C5 1.649, P6 1.876, H10 1.084
3 C 1.913 0.341 -0.644  C5 1.584, H11 1.052, H12 1.144, H13 1.086
4 C -0.988 -2.405 0.728  P6 1.909, H14 1.109, H15 1.109, H16 1.084
5 C 0.529 1.093 -0.805  C2 1.649, C3 1.584, H17 1.096, H18 1.176
6 P -1.087 -1.342 -0.855  C2 1.876, C4 1.909
7 S -3.477 0.489 0.059  C1 1.829
8 H -1.873 2.048 0.971  C1 1.151
9 H -1.924 1.914 -0.943  C1 1.147
10 H -0.454 -0.075 0.918  C2 1.084
11 H 1.916 -0.448 -1.340  C3 1.052
12 H 2.345 -0.046 0.343  C3 1.144
13 H 2.721 1.031 -0.867  C3 1.086
14 H -1.103 -3.447 0.369  C4 1.109
15 H -2.003 -2.301 1.164  C4 1.109
16 H -0.066 -2.317 1.290  C4 1.084
17 H 0.267 1.224 -1.862  C5 1.096
18 H 0.515 2.185 -0.369  C5 1.176


# C5H11S

A cluster of 2 separate species, C5H11S in total (ωB97M-V/def2-TZVPD, OMol25).

spin multiplicity	2
charge	-2
frontier orbital gap (spin up / spin down)	2.49 / 6.30	eV
energy	-595.14062	hartree
HOMO level (spin up / spin down)	4.133 / 0.198	eV

Each atom is followed by the atoms it is bonded to, with distances in Å.
Element x y z (Å)
1 C 2.062 -0.884 -0.188  C2 1.500, H5 1.097, H6 1.092, H7 1.096
2 C 1.264 -0.743 1.074  C1 1.500, C3 1.330, C4 1.499
3 C 1.730 -0.094 2.138  C2 1.330, H8 1.085, H9 1.084
4 C -0.116 -1.323 1.004  C2 1.499, H10 1.094, H11 1.099, H12 1.111
5 H 2.184 -1.941 -0.458  C1 1.097
6 H 3.041 -0.404 -0.119  C1 1.092
7 H 1.534 -0.411 -1.024  C1 1.096
8 H 1.119 0.033 3.025  C3 1.085
9 H 2.711 0.369 2.144  C3 1.084
10 H -0.584 -1.279 1.993  C4 1.094
11 H -0.105 -2.369 0.666  C4 1.099
12 H -0.768 -0.792 0.278  C4 1.111
13 C -2.563 1.523 -0.896  S14 1.829, H15 1.092, H16 1.097, H17 1.094
14 S -1.073 0.771 -1.642  C13 1.829
15 H -2.319 2.025 0.044  C13 1.092
16 H -2.981 2.284 -1.567  C13 1.097
17 H -3.352 0.779 -0.756  C13 1.094

----------

{
  "formula": "C25H32N2O3",
  "method": "the ωB97M-V functional and the def2-TZVPD basis",
  "smiles": "CCCCN1C[C@H](Cc2ccccc2)[C@@H](CC(=O)NCc2ccc(OC)cc2)C1=O",
  "e_tot_ev": -35568.9797,
  "orbital_gap_ha": 0.332,
  "lumo_ha": 0.023,
  "max_force_ev_per_a": 0.7,
  "total_charge": 0,
  "de_lowest_kj_mol": 6.1,
  "symbols": ["C", "C", "C", "H", "C", "N", "C", "O", "C", "C", "C", "O", "N", "H", "C", "C", "C", "C", "C", "C", "C", "H", "H", "O", "C", "H", "H", "H", "H", "H", "H", "H", "H", "H", "C", "C", "C", "C", "C", "C", "C", "C", "H", "H", "H", "H", "H", "H", "H", "C", "H", "H", "H", "H", "H", "H", "H", "H", "H", "H", "H", "H"],
*/
A scapular fracture is a very rare type of fracture, due to its protection afforded by its surrounding muscles. Scapular fractures are associated almost exclusively with high energy trauma and as a result, patients with scapular fractures have an associated mortality rate of 2-5% due to their concurrent severe injuries.
The vast majority of scapular fractures are treated non-operatively, as up to 90% of fractures are aligned acceptably. Open reduction internal fixation (ORIF) is indicated for individuals with glenohumeral instability, displaced scapular neck, or complex fracture patterns. A floating shoulder results when a scapular neck fracture is associated with a clavicle fracture. This almost always requires fixation.
Patients can expect good results with no functional deficits after nearly all nonoperative cases and in 70% of surgical cases.